Vegetable Garden Transition
About this time of the year, I am busy helping my vegetable gardens transition into summer.
That means pulling any remaining leaf lettuce. Yes, it hurts to know that I now have to buy lettuce until next fall when I can grow it again.
Even though not all of my lettuce had bolted, none of it was edible. Once the temperatures get up to 90 degrees, the lettuce turns bitter.
vegetable garden transition
For the past 4 months, I have been harvesting a few carrots every few nights to include in salads or soups.
Now that it is getting hotter and some of the carrots are beginning to flower, it was time to harvest the rest of the remaining carrots.
I didn’t use the carrots that had flowered, since they had become woody inside.
vegetable garden transition
You know, one of the things that I like about gardening is how unpredictable it can be. The two carrots, above, were growing just 1 ft. away from each other.
The garlic was already harvested and I concentrated on pulling out cool-season annuals that were serving as companion plants.
I love my crocs!
These nasturtiums were still blooming, so I will leave them until they begin to fade.
vegetable garden transition
A quick check of my warm-season vegetables showed that my zucchini plant has its first fruit (yes, zucchini is technically a ‘fruit’).
You really have to check carefully for zucchini because they can be hard to spot.
I will have to get my mother’s famous zucchini bread recipe.
Tomatoes are hanging from the vine and will soon be turning red.
In my side garden, I have two new peach trees growing.
This one has 18 peaches on it.
I planted this peach tree in January. Now, normally, you would want to ‘thin’ fruit so that there is only one fruit every 6 inches – this creates larger fruit. But, I was so happy to see so much fruit on my new tree, that I just left them.
-- begin --
[1]
LiErSi2: simulated PXRD pattern (Cu Kα (weighted mean of Kα1 and Kα2)), based on the PBE geometry in Alexandria.

Most intense lines, 5 to 70 degrees two-theta, in order of rising 2θ:
2theta	d/Å	I/Imax
16.52	5.366	42
21.38	4.155	72
23.26	3.824	51
26.98	3.305	61
28.42	3.140	64
30.66	2.916	58
35.04	2.561	82
36.04	2.492	100

Atomic structure:
Lattice parameters (Å, degrees): 6.567 4.093 10.733 90.00 90.00 90.00
Fractional coordinates of all 16 atoms:
Li 0.140 0.250 0.054
Li 0.360 0.750 0.554
Li 0.640 0.250 0.446
Li 0.860 0.750 0.946
Er 0.151 0.250 0.343
Er 0.349 0.750 0.843
Er 0.651 0.250 0.157
Er 0.849 0.750 0.657
Si 0.028 0.250 0.832
Si 0.172 0.250 0.631
Si 0.328 0.750 0.131
Si 0.472 0.750 0.332
Si 0.528 0.250 0.668
Si 0.672 0.250 0.869
Si 0.828 0.750 0.369
Si 0.972 0.750 0.168

---

[2]
LiErSi: simulated PXRD pattern (Cu Kα (weighted mean of Kα1 and Kα2)), based on the PBE geometry in Alexandria.

Most intense lines, 5 to 70 degrees two-theta, in order of rising 2θ:
2theta	d/Å	I/Imax
19.67	4.514	44
22.32	3.983	100
22.45	3.960	33
26.64	3.347	42
33.57	2.670	59
34.18	2.624	55
36.70	2.449	82
36.99	2.430	41

Atomic structure:
Lattice parameters (Å, degrees): 6.971 4.227 11.879 90.00 90.18 90.00
Fractional coordinates of all 18 atoms:
Li 0.002 0.250 0.411
Li 0.153 0.750 0.959
Li 0.347 0.250 0.297
Li 0.653 0.750 0.703
Li 0.847 0.250 0.041
Li 0.998 0.750 0.589
Er 0.013 0.750 0.196
Er 0.337 0.250 0.579
Er 0.486 0.250 0.869
Er 0.514 0.750 0.131
Er 0.663 0.750 0.421
Er 0.987 0.250 0.804
Si 0.235 0.250 0.072
Si 0.243 0.750 0.406
Si 0.268 0.750 0.748
Si 0.732 0.250 0.252
Si 0.757 0.250 0.594
Si 0.765 0.750 0.928

---

[3]
LiEr3Sn12: simulated PXRD pattern (Cu Kα (weighted mean of Kα1 and Kα2)), based on the PBE geometry in Alexandria.

Most intense lines, 5 to 70 degrees two-theta, in order of rising 2θ:
2theta	d/Å	I/Imax
33.13	2.704	100
37.70	2.386	17
38.81	2.320	33
55.22	1.663	24
56.05	1.641	12
65.18	1.431	15
66.68	1.403	28
69.54	1.352	12

Atomic structure:
Lattice parameters (Å, degrees): 4.641 4.641 19.087 90.00 90.00 90.00
Fractional coordinates of all 16 atoms:
Li 0.000 0.000 0.000
Er 0.000 0.000 0.253
Er 0.000 0.000 0.500
Er 0.000 0.000 0.747
Sn 0.000 0.500 0.121
Sn 0.000 0.500 0.374
Sn 0.000 0.500 0.626
Sn 0.000 0.500 0.879
Sn 0.500 0.000 0.121
Sn 0.500 0.000 0.374
Sn 0.500 0.000 0.626
Sn 0.500 0.000 0.879
Sn 0.500 0.500 0.000
Sn 0.500 0.500 0.246
Sn 0.500 0.500 0.500
Sn 0.500 0.500 0.754

---

[4]
LiEr6Te8: simulated PXRD pattern (Cu Kα (weighted mean of Kα1 and Kα2)), based on the PBE geometry in Alexandria.

Most intense lines, 5 to 70 degrees two-theta, in order of rising 2θ:
2theta	d/Å	I/Imax
14.55	6.086	14
20.64	4.304	13
29.35	3.043	100
32.91	2.722	8
41.99	2.152	76
52.05	1.757	27
60.88	1.522	13
69.01	1.361	35

Atomic structure:
Lattice parameters (Å, degrees): 8.608 8.608 8.608 60.00 60.00 60.00
Fractional coordinates of all 15 atoms:
Li 0.000 0.000 0.000
Er 0.000 0.000 0.500
Er 0.000 0.500 0.000
Er 0.000 0.500 0.500
Er 0.500 0.000 0.000
-- stop --
Since I won’t have enough to make peach jam, this year, I will use them to make peach vinegar.
I don’t just have peaches growing in my side garden…
My blackberry bush has ripe blackberries!
Originally, I hadn’t planned on growing blackberries in my garden, but my mother had an extra blackberry plant that she gave me last year, so I planted one.
I decided to go ahead and add more this year and planted 5 more bushes.
I only have the original blackberry bush covered in fruit because blackberries form on 1-year old growth.
My family wants me to use some of our blackberries to serve over ice cream.
I was thinking of using them for making blackberry vinegar, which I’ll use to make salad dressing.
What do you think? Ice cream topping or fruit-flavored vinegar?
If you have a chance, rumor is that lettuce that turns bitter will lose the bitter flavor if stored in the fridge for 3 days. I tried it will mâché and another winter variety, but as they always seemed a little bitter to me, I am not sure it was successful or not, I will try it later with my spring lettuce, but you could try it out if you have any leaf lettuce
I just wanted to say that this is my first time here and I love the pictures and your blog. Now I can see why my cousin moved to Tucson.